== Activity ==
What is needed: type out the notes further below with every line break kept.
== Input ==
........
[1]
Here is a molecular structure, C9H22AlClI2N2P2 in a non-equilibrium geometry from OMol25. Energies are from wB97M-V/def2-TZVPD.

Structure (XYZ):
```
39
Properties=species:S:1:pos:R:3:nbo_charge:R:1
I -1.59 -0.73 -3.83 0.180
I -2.10 -0.33 1.13 0.311
Al 0.04 -0.01 -0.23 1.094
P 0.42 -2.40 0.12 0.914
C -0.41 -3.38 -1.16 -0.955
C 2.17 -2.88 0.07 -0.941
H 2.25 -3.93 0.39 0.269
H 0.35 -4.12 1.82 0.275
H 2.73 -2.22 0.75 0.275
H 0.16 -2.47 2.52 0.274
H -0.35 -2.84 -2.12 0.228
H 2.55 -2.75 -0.95 0.257
C -0.13 -3.14 1.70 -0.943
H 0.08 -4.36 -1.23 0.273
H -1.22 -3.24 1.71 0.248
H -1.47 -3.49 -0.89 0.262
P -0.62 2.36 -0.30 0.932
C -1.71 2.66 -1.72 -0.957
C -1.50 3.06 1.14 -0.946
H 1.55 3.23 0.25 0.276
H 0.41 4.53 -0.29 0.271
H 1.19 3.43 -1.49 0.258
C 0.78 3.51 -0.48 -0.941
H -1.00 2.74 2.05 0.274
H -1.47 4.16 1.07 0.274
H -1.77 3.74 -1.90 0.274
H -2.70 2.24 -1.49 0.260
H -2.54 2.71 1.15 0.251
H -1.32 2.12 -2.59 0.234
Cl 1.33 0.42 1.53 -0.577
N 1.42 0.17 -2.82 -0.353
C 2.59 0.40 -3.43 0.036
C 3.52 0.65 -2.43 -0.304
C 2.84 0.55 -1.22 0.031
N 1.53 0.25 -1.48 -0.529
H 0.52 -0.08 -3.28 0.403
H 2.70 0.37 -4.51 0.263
H 4.56 0.88 -2.57 0.275
H 3.23 0.67 -0.23 0.271
```

Results
HOMO-LUMO gap (alpha / beta) (eV): 6.02 / 5.26
M (g/mol): 536.48
F_max (Eh/bohr): 0.05262
HOMO level (alpha / beta) (eV): -16.097 / -15.860
LUMO (alpha / beta) (eV): -10.076 / -10.598
Total charge: +2
Energy relative to the best compared isomer or geometry (same formula, charge and spin) (eV): 1.8067

[2]
Here is 8 unconnected molecules or ions with the total composition C12H40O8 in a non-equilibrium geometry from OMol25. Energies are from wB97M-V/def2-TZVPD.

Structure (XYZ):
```
60
Properties=species:S:1:pos:R:3:nbo_charge:R:1
O 1.24 7.82 -15.37 -0.975
H 1.99 8.21 -15.82 0.464
H 0.58 8.52 -15.36 0.493
O -0.63 9.65 -15.88 -0.995
H -1.12 10.48 -15.85 0.494
H -0.80 9.31 -16.75 0.493
O -1.22 8.85 -18.40 -0.957
H -1.30 7.90 -18.32 0.493
H -2.05 9.13 -18.79 0.490
O -1.52 12.24 -18.80 -0.943
H -0.95 11.50 -18.58 0.478
H -2.25 11.84 -19.27 0.467
C 0.10 9.36 -11.94 -0.639
C 0.86 8.16 -11.36 0.096
C 2.35 7.93 -11.72 -0.631
O 0.77 8.45 -10.01 -0.729
H 0.60 10.32 -11.88 0.198
H -0.84 9.54 -11.42 0.215
H -0.13 9.23 -13.00 0.215
H 0.42 7.16 -11.47 0.182
H 2.98 8.56 -11.10 0.198
H 2.54 8.11 -12.78 0.226
H 2.63 6.89 -11.55 0.210
H 1.14 9.32 -9.80 0.458
C 2.58 13.54 -17.50 -0.643
C 2.48 11.99 -17.42 0.107
C 3.63 11.09 -17.92 -0.615
O 2.31 11.56 -16.05 -0.738
H 3.43 13.99 -16.99 0.209
H 1.74 14.03 -17.00 0.211
H 2.72 13.94 -18.50 0.211
H 1.62 11.68 -18.01 0.147
H 3.26 10.07 -17.91 0.214
H 4.50 11.12 -17.26 0.213
H 3.93 11.44 -18.91 0.203
H 1.40 11.79 -15.82 0.481
C -1.85 13.99 -13.86 -0.649
C -0.54 13.54 -14.52 0.106
C 0.59 12.82 -13.67 -0.645
O -0.80 12.65 -15.61 -0.759
H -1.80 14.80 -13.13 0.221
H -2.36 13.17 -13.35 0.210
H -2.64 14.26 -14.56 0.210
H -0.15 14.45 -14.97 0.154
H 1.59 13.07 -14.02 0.232
H 0.48 11.74 -13.66 0.229
H 0.46 13.21 -12.66 0.212
H -1.45 13.08 -16.17 0.482
C -4.45 6.35 -16.84 -0.633
C -4.86 7.75 -17.34 0.100
C -4.37 8.87 -16.46 -0.639
O -4.30 7.84 -18.63 -0.754
H -4.82 5.50 -17.41 0.206
H -4.66 6.26 -15.77 0.214
H -3.38 6.22 -17.01 0.207
H -5.94 7.76 -17.44 0.159
H -4.78 8.83 -15.45 0.226
H -4.61 9.79 -16.99 0.214
H -3.29 8.93 -16.35 0.223
H -4.64 7.15 -19.21 0.476
```

Results
HOMO-LUMO gap (eV): 9.63
M (g/mol): 312.44
F_max (Eh/bohr): 0.06018
HOMO level (eV): -9.474
LUMO (eV): 0.157
Structure (SMILES): CC(C)O.CC(C)O.CC(C)O.CC(C)O.O.O.O.O
Energy relative to the best compared isomer or geometry (same formula, charge and spin) (eV): 1.3504

[3]
Here is a molecular structure, C20H30GeN3O11PSeV in a non-equilibrium geometry from OMol25. Energies are from wB97M-V/def2-TZVPD.

Structure (XYZ):
```
68
Properties=species:S:1:pos:R:3:mulliken_spin:R:1
V -0.47 -0.23 0.59 2.549
O 1.01 3.13 1.23 0.000
C 0.01 3.20 2.23 0.001
C 0.33 2.35 3.45 0.004
N 0.38 0.91 3.20 0.027
C 1.72 0.33 3.18 0.009
C 2.29 0.03 1.79 0.005
O 3.47 -0.35 1.72 0.002
O 1.53 0.18 0.78 -0.006
........
== Here it is ==
[1]
Here is a molecular structure, C9H22AlClI2N2P2 in a non-equilibrium geometry from OMol25. Energies are from wB97M-V/def2-TZVPD.

Structure (XYZ):
```
39
Properties=species:S:1:pos:R:3:nbo_charge:R:1
I -1.59 -0.73 -3.83 0.180
I -2.10 -0.33 1.13 0.311
Al 0.04 -0.01 -0.23 1.094
P 0.42 -2.40 0.12 0.914
C -0.41 -3.38 -1.16 -0.955
C 2.17 -2.88 0.07 -0.941
H 2.25 -3.93 0.39 0.269
H 0.35 -4.12 1.82 0.275
H 2.73 -2.22 0.75 0.275
H 0.16 -2.47 2.52 0.274
H -0.35 -2.84 -2.12 0.228
H 2.55 -2.75 -0.95 0.257
C -0.13 -3.14 1.70 -0.943
H 0.08 -4.36 -1.23 0.273
H -1.22 -3.24 1.71 0.248
H -1.47 -3.49 -0.89 0.262
P -0.62 2.36 -0.30 0.932
C -1.71 2.66 -1.72 -0.957
C -1.50 3.06 1.14 -0.946
H 1.55 3.23 0.25 0.276
H 0.41 4.53 -0.29 0.271
H 1.19 3.43 -1.49 0.258
C 0.78 3.51 -0.48 -0.941
H -1.00 2.74 2.05 0.274
H -1.47 4.16 1.07 0.274
H -1.77 3.74 -1.90 0.274
H -2.70 2.24 -1.49 0.260
H -2.54 2.71 1.15 0.251
H -1.32 2.12 -2.59 0.234
Cl 1.33 0.42 1.53 -0.577
N 1.42 0.17 -2.82 -0.353
C 2.59 0.40 -3.43 0.036
C 3.52 0.65 -2.43 -0.304
C 2.84 0.55 -1.22 0.031
N 1.53 0.25 -1.48 -0.529
H 0.52 -0.08 -3.28 0.403
H 2.70 0.37 -4.51 0.263
H 4.56 0.88 -2.57 0.275
H 3.23 0.67 -0.23 0.271
```

Results
HOMO-LUMO gap (alpha / beta) (eV): 6.02 / 5.26
M (g/mol): 536.48
F_max (Eh/bohr): 0.05262
HOMO level (alpha / beta) (eV): -16.097 / -15.860
LUMO (alpha / beta) (eV): -10.076 / -10.598
Total charge: +2
Energy relative to the best compared isomer or geometry (same formula, charge and spin) (eV): 1.8067

[2]
Here is 8 unconnected molecules or ions with the total composition C12H40O8 in a non-equilibrium geometry from OMol25. Energies are from wB97M-V/def2-TZVPD.

Structure (XYZ):
```
60
Properties=species:S:1:pos:R:3:nbo_charge:R:1
O 1.24 7.82 -15.37 -0.975
H 1.99 8.21 -15.82 0.464
H 0.58 8.52 -15.36 0.493
O -0.63 9.65 -15.88 -0.995
H -1.12 10.48 -15.85 0.494
H -0.80 9.31 -16.75 0.493
O -1.22 8.85 -18.40 -0.957
H -1.30 7.90 -18.32 0.493
H -2.05 9.13 -18.79 0.490
O -1.52 12.24 -18.80 -0.943
H -0.95 11.50 -18.58 0.478
H -2.25 11.84 -19.27 0.467
C 0.10 9.36 -11.94 -0.639
C 0.86 8.16 -11.36 0.096
C 2.35 7.93 -11.72 -0.631
O 0.77 8.45 -10.01 -0.729
H 0.60 10.32 -11.88 0.198
H -0.84 9.54 -11.42 0.215
H -0.13 9.23 -13.00 0.215
H 0.42 7.16 -11.47 0.182
H 2.98 8.56 -11.10 0.198
H 2.54 8.11 -12.78 0.226
H 2.63 6.89 -11.55 0.210
H 1.14 9.32 -9.80 0.458
C 2.58 13.54 -17.50 -0.643
C 2.48 11.99 -17.42 0.107
C 3.63 11.09 -17.92 -0.615
O 2.31 11.56 -16.05 -0.738
H 3.43 13.99 -16.99 0.209
H 1.74 14.03 -17.00 0.211
H 2.72 13.94 -18.50 0.211
H 1.62 11.68 -18.01 0.147
H 3.26 10.07 -17.91 0.214
H 4.50 11.12 -17.26 0.213
H 3.93 11.44 -18.91 0.203
H 1.40 11.79 -15.82 0.481
C -1.85 13.99 -13.86 -0.649
C -0.54 13.54 -14.52 0.106
C 0.59 12.82 -13.67 -0.645
O -0.80 12.65 -15.61 -0.759
H -1.80 14.80 -13.13 0.221
H -2.36 13.17 -13.35 0.210
H -2.64 14.26 -14.56 0.210
H -0.15 14.45 -14.97 0.154
H 1.59 13.07 -14.02 0.232
H 0.48 11.74 -13.66 0.229
H 0.46 13.21 -12.66 0.212
H -1.45 13.08 -16.17 0.482
C -4.45 6.35 -16.84 -0.633
C -4.86 7.75 -17.34 0.100
C -4.37 8.87 -16.46 -0.639
O -4.30 7.84 -18.63 -0.754
H -4.82 5.50 -17.41 0.206
H -4.66 6.26 -15.77 0.214
H -3.38 6.22 -17.01 0.207
H -5.94 7.76 -17.44 0.159
H -4.78 8.83 -15.45 0.226
H -4.61 9.79 -16.99 0.214
H -3.29 8.93 -16.35 0.223
H -4.64 7.15 -19.21 0.476
```

Results
HOMO-LUMO gap (eV): 9.63
M (g/mol): 312.44
F_max (Eh/bohr): 0.06018
HOMO level (eV): -9.474
LUMO (eV): 0.157
Structure (SMILES): CC(C)O.CC(C)O.CC(C)O.CC(C)O.O.O.O.O
Energy relative to the best compared isomer or geometry (same formula, charge and spin) (eV): 1.3504

[3]
Here is a molecular structure, C20H30GeN3O11PSeV in a non-equilibrium geometry from OMol25. Energies are from wB97M-V/def2-TZVPD.

Structure (XYZ):
```
68
Properties=species:S:1:pos:R:3:mulliken_spin:R:1
V -0.47 -0.23 0.59 2.549
O 1.01 3.13 1.23 0.000
C 0.01 3.20 2.23 0.001
C 0.33 2.35 3.45 0.004
N 0.38 0.91 3.20 0.027
C 1.72 0.33 3.18 0.009
C 2.29 0.03 1.79 0.005
O 3.47 -0.35 1.72 0.002
O 1.53 0.18 0.78 -0.006